What is needed: echo the lines below from the line with "0.391" to the end word for word.

V8P2C: optimized geometry, PBE.

Summary:
* VASP energy: -8.83 eV/atom
* size of the total moment: 0.000 Bohr magnetons per cell
* formation enthalpy at 0 K: -0.38 eV/atom
* space-group type: C2/m, No. 12

```
V8P2C
1.0
6.863 -2.049 0.000
6.863 2.049 0.000
-1.724 0.000 4.762
V P C
8 2 1
Direct
0.001 0.001 0.238 V
0.218 0.218 0.117 V
0.361 0.361 0.730 V
0.414 0.414 0.293 V
0.586 0.586 0.707 V
0.639 0.639 0.270 V
0.782 0.782 0.883 V
0.999 0.999 0.762 V
0.166 0.166 0.609 P
0.834 0.834 0.391 P
0.500 0.500 0.000 C
```

=====

V4P2C: optimized geometry, PBE.

Summary:
* VASP energy: -8.81 eV/atom
* size of the total moment: 0.000 Bohr magnetons per cell
* formation enthalpy at 0 K: -0.74 eV/atom
* space-group type: Pbam, No. 55
* ΔE to the lowest computed polymorph: 37 meV/atom

```
V4P2C
1.0
6.068 0.000 0.000
0.000 9.123 0.000
0.000 0.000 3.092
V P C
8 4 2
Direct
0.131 0.201 0.000 V
0.198 0.933 0.500 V
0.302 0.433 0.500 V
0.369 0.701 0.000 V
0.631 0.299 0.000 V
0.698 0.567 0.500 V
0.802 0.067 0.500 V
0.869 0.799 0.000 V
0.074 0.655 0.500 P
0.426 0.155 0.500 P
0.574 0.845 0.500 P
0.926 0.345 0.500 P
0.000 0.000 0.000 C
0.500 0.500 0.000 C
```

=====

V2PC: optimized geometry, PBE.

Summary:
* VASP energy: -8.91 eV/atom
* size of the total moment: 0.000 Bohr magnetons per cell
* formation enthalpy at 0 K: -0.69 eV/atom
* space-group type: P6_3/mmc, No. 194
* ΔE to the lowest computed polymorph: 0 meV/atom

```
V2PC
1.0
3.074 0.000 0.000
-1.537 2.662 0.000
0.000 0.000 10.903
V P C
4 2 2
Direct
0.333 0.667 0.098 V
0.333 0.667 0.402 V
0.667 0.333 0.598 V
0.667 0.333 0.902 V
0.333 0.667 0.750 P
0.667 0.333 0.250 P
0.000 0.000 0.000 C
0.000 0.000 0.500 C
```

=====

VPC3: optimized geometry, PBE.

Summary:
* VASP energy: -6.65 eV/atom
* size of the total moment: 1.882 Bohr magnetons per cell
* formation enthalpy at 0 K: 1.79 eV/atom
* space-group type: Pm-3m, No. 221
* ΔE to the lowest computed polymorph: 0 meV/atom

```
VPC3
1.0
3.602 0.000 0.000
0.000 3.602 0.000
0.000 0.000 3.602
V P C
1 1 3
Direct
0.000 0.000 0.000 V
0.500 0.500 0.500 P
0.000 0.500 0.500 C
0.500 0.000 0.500 C
0.500 0.500 0.000 C
```

=====

VP3C: optimized geometry, PBE.

Summary:
* VASP energy: -5.97 eV/atom
* size of the total moment: 1.974 Bohr magnetons per cell
* formation enthalpy at 0 K: 0.95 eV/atom
* space-group type: Pm-3m, No. 221
* ΔE to the lowest computed polymorph: 0 meV/atom

```
VP3C
1.0
3.995 0.000 0.000
0.000 3.995 0.000
0.000 0.000 3.995
V P C
1 3 1
Direct
0.000 0.000 0.000 V
0.000 0.500 0.500 P
0.500 0.000 0.500 P
0.500 0.500 0.000 P
0.500 0.500 0.500 C
```

=====

V3PC: optimized geometry, PBE.

Summary:
* VASP energy: -9.10 eV/atom
* size of the total moment: 0.000 Bohr magnetons per cell
* formation enthalpy at 0 K: -0.70 eV/atom
* space-group type: Pnma, No. 62

```
V3PC
1.0
6.649 0.000 0.000
0.000 3.084 0.000
0.000 0.000 10.985
V P C
12 4 4
Direct
0.021 0.250 0.106 V
0.161 0.250 0.514 V
0.197 0.750 0.289 V
0.303 0.250 0.789 V
0.339 0.750 0.014 V
0.479 0.750 0.606 V
0.521 0.250 0.394 V
0.661 0.250 0.986 V
0.697 0.750 0.211 V
0.803 0.250 0.711 V
0.839 0.750 0.486 V
0.979 0.750 0.894 V
0.085 0.750 0.676 P
0.415 0.250 0.176 P
0.585 0.750 0.824 P
0.915 0.250 0.324 P
0.160 0.250 0.945 C
0.340 0.750 0.445 C
0.660 0.250 0.555 C
0.840 0.750 0.055 C
```

=====

- Which formula does entry 3 have?
  V2PC

=====

- What is the VASP energy in the first record?
  -8.83 eV/atom

0.834 0.834 0.391 P
0.500 0.500 0.000 C
```

=====

V4P2C: optimized geometry, PBE.

Summary:
* VASP energy: -8.81 eV/atom
* size of the total moment: 0.000 Bohr magnetons per cell
* formation enthalpy at 0 K: -0.74 eV/atom
* space-group type: Pbam, No. 55
* ΔE to the lowest computed polymorph: 37 meV/atom

```
V4P2C
1.0
6.068 0.000 0.000
0.000 9.123 0.000
0.000 0.000 3.092
V P C
8 4 2
Direct
0.131 0.201 0.000 V
0.198 0.933 0.500 V
0.302 0.433 0.500 V
0.369 0.701 0.000 V
0.631 0.299 0.000 V
0.698 0.567 0.500 V
0.802 0.067 0.500 V
0.869 0.799 0.000 V
0.074 0.655 0.500 P
0.426 0.155 0.500 P
0.574 0.845 0.500 P
0.926 0.345 0.500 P
0.000 0.000 0.000 C
0.500 0.500 0.000 C
```

=====

V2PC: optimized geometry, PBE.

Summary:
* VASP energy: -8.91 eV/atom
* size of the total moment: 0.000 Bohr magnetons per cell
* formation enthalpy at 0 K: -0.69 eV/atom
* space-group type: P6_3/mmc, No. 194
* ΔE to the lowest computed polymorph: 0 meV/atom

```
V2PC
1.0
3.074 0.000 0.000
-1.537 2.662 0.000
0.000 0.000 10.903
V P C
4 2 2
Direct
0.333 0.667 0.098 V
0.333 0.667 0.402 V
0.667 0.333 0.598 V
0.667 0.333 0.902 V
0.333 0.667 0.750 P
0.667 0.333 0.250 P
0.000 0.000 0.000 C
0.000 0.000 0.500 C
```

=====

VPC3: optimized geometry, PBE.

Summary:
* VASP energy: -6.65 eV/atom
* size of the total moment: 1.882 Bohr magnetons per cell
* formation enthalpy at 0 K: 1.79 eV/atom
* space-group type: Pm-3m, No. 221
* ΔE to the lowest computed polymorph: 0 meV/atom

```
VPC3
1.0
3.602 0.000 0.000
0.000 3.602 0.000
0.000 0.000 3.602
V P C
1 1 3
Direct
0.000 0.000 0.000 V
0.500 0.500 0.500 P
0.000 0.500 0.500 C
0.500 0.000 0.500 C
0.500 0.500 0.000 C
```

=====

VP3C: optimized geometry, PBE.

Summary:
* VASP energy: -5.97 eV/atom
* size of the total moment: 1.974 Bohr magnetons per cell
* formation enthalpy at 0 K: 0.95 eV/atom
* space-group type: Pm-3m, No. 221
* ΔE to the lowest computed polymorph: 0 meV/atom

```
VP3C
1.0
3.995 0.000 0.000
0.000 3.995 0.000
0.000 0.000 3.995
V P C
1 3 1
Direct
0.000 0.000 0.000 V
0.000 0.500 0.500 P
0.500 0.000 0.500 P
0.500 0.500 0.000 P
0.500 0.500 0.500 C
```

=====

V3PC: optimized geometry, PBE.

Summary:
* VASP energy: -9.10 eV/atom
* size of the total moment: 0.000 Bohr magnetons per cell
* formation enthalpy at 0 K: -0.70 eV/atom
* space-group type: Pnma, No. 62

```
V3PC
1.0
6.649 0.000 0.000
0.000 3.084 0.000
0.000 0.000 10.985
V P C
12 4 4
Direct
0.021 0.250 0.106 V
0.161 0.250 0.514 V
0.197 0.750 0.289 V
0.303 0.250 0.789 V
0.339 0.750 0.014 V
0.479 0.750 0.606 V
0.521 0.250 0.394 V
0.661 0.250 0.986 V
0.697 0.750 0.211 V
0.803 0.250 0.711 V
0.839 0.750 0.486 V
0.979 0.750 0.894 V
0.085 0.750 0.676 P
0.415 0.250 0.176 P
0.585 0.750 0.824 P
0.915 0.250 0.324 P
0.160 0.250 0.945 C
0.340 0.750 0.445 C
0.660 0.250 0.555 C
0.840 0.750 0.055 C
```

=====

- Which formula does entry 3 have?
  V2PC

=====

- What is the VASP energy in the first record?
  -8.83 eV/atom